Applications ordered newest to oldest.
Section 4.55 (1A) to amend Condition 22 (Supermarket Plan of Management).
S4.55 (1A) modification of Condition 1 to update the submitted drawings to modify shop 5 frontage.
Section 4.55 1(A) amendment to wording of conditions regarding public domain.
-- Data records from another source follow --
____________
Record 1
Entry from Alexandria: a relaxed Rb3Sm crystal (PBE-GGA).

Cell lengths 6.3799, 6.3799, 6.3799 Å; angles 90.00, 90.00, 90.00 degrees
Last column: nearest neighbours and their distance in Å.
Atoms (fractional coordinates):
1 Rb 0.0000 0.5000 0.5000  8 Rb 4.51, 4 Sm 4.51
2 Rb 0.5000 0.0000 0.5000  8 Rb 4.51, 4 Sm 4.51
3 Rb 0.5000 0.5000 0.0000  8 Rb 4.51, 4 Sm 4.51
4 Sm 0.0000 0.0000 0.0000  12 Rb 4.51

## Properties
Its density of states at the Fermi level is 5.70 states/eV/f.u. The value obtained for the energy above the lowest structure with this stoichiometry is 3 meV per atom. For the formation enthalpy at 0 K, the calculation gives 0.6069 eV per atom. The density comes out at 2.60 g/cm³. The magnetic moment comes out at 0.1320 μB per atom. As for the calculated volume: 259.7 Å³/f.u.



Record 2
Entry from Alexandria: a relaxed Rb4Sm crystal (PBE-GGA).

Cell lengths 7.6658, 7.6658, 7.6658 Å; angles 90.00, 90.00, 90.00 degrees
Last column: nearest neighbours and their distance in Å.
Atoms (fractional coordinates):
1 Rb 0.0000 0.0000 0.0000  12 Rb 5.42
2 Rb 0.5000 0.0000 0.5000  2 Sm 3.83
3 Rb 0.0000 0.5000 0.5000  2 Sm 3.83
4 Rb 0.5000 0.5000 0.0000  2 Sm 3.83
5 Sm 0.5000 0.5000 0.5000  6 Rb 3.83

## Properties
Its density of states at the Fermi level is 14.96 states/eV/f.u. For the formation enthalpy at 0 K, the calculation gives 0.6827 eV per atom. The density comes out at 1.81 g/cm³. The magnetic moment comes out at 0.6925 μB per atom. As for the calculated volume: 450.5 Å³/f.u.



Record 3
Entry from Alexandria: a relaxed Rb3Sm crystal (PBE-GGA).

Cell lengths 7.2148, 7.2148, 7.2148 Å; angles 60.00, 60.00, 60.00 degrees
Last column: nearest neighbours and their distance in Å.
Atoms (fractional coordinates):
1 Rb 0.2500 0.2500 0.2500  4 Rb 4.42, 4 Sm 4.42
2 Rb 0.7500 0.7500 0.7500  4 Rb 4.42, 4 Sm 4.42
3 Rb 0.5000 0.5000 0.5000  8 Rb 4.42
4 Sm 0.0000 0.0000 0.0000  8 Rb 4.42

## Properties
Its density of states at the Fermi level is 8.59 states/eV/f.u. The value obtained for the energy above the lowest structure with this stoichiometry is 17 meV per atom. For the formation enthalpy at 0 K, the calculation gives 0.6211 eV per atom. The density comes out at 2.54 g/cm³. The magnetic moment comes out at 0.4019 μB per atom. As for the calculated volume: 265.6 Å³/f.u.



Record 4
Entry from Alexandria: a relaxed Rb3Sm crystal (PBE-GGA).

Cell lengths 8.0317, 8.0317, 8.0317 Å; angles 134.19, 134.19, 66.79 degrees
Last column: nearest neighbours and their distance in Å.
Atoms (fractional coordinates):
1 Rb 0.7500 0.2500 0.5000  8 Rb 4.42-4.58, 4 Sm 4.58
2 Rb 0.2500 0.7500 0.5000  8 Rb 4.42-4.58, 4 Sm 4.58
3 Rb 0.5000 0.5000 0.0000  4 Sm 4.42, 8 Rb 4.58
4 Sm 0.0000 0.0000 0.0000  12 Rb 4.42-4.58

## Properties
____________
-- Here the text continues --
Section 4.55 (1A) modification to update supermarket management plan and increase loading/delivery hours. Approved supermarket delivery hours are 7.00am to 6.00pm Monday to Saturday,which are to be increased to 9.00pm Monday to Saturday and 8.00am to 12.00 midday on Sunday.
Installation of 3 building identification signs on Darlinghurst Road and Victoria Street frontages.
Five (5) business identification signs on the Darlinghurst Road and Victoria Street frontages.
S4.55 (1A) Minor internal alterations and alterations to facade arising from design development
stratum subdivision of 4 lots to 3 lots
Section 4.55 (1A) modification for various design amendments, amalgamate apartments 1702, 1703, and 1704 into two x 4 bedroom units and amend the detailed landscape.
Site-specific Signage Strategy in association with the mixed use development known as 'Omnia'.
Subdivision of the site into 3 stratum lots
Section 96(1a) to amalgamate unit 13.11 and 13.12 into one unit
Section 96(1A) modification of consent for additions and alterations to the former Crest Hotel for residential and retail uses and associated car parking. Proposed changes include 7 additional car parking bays, alterations to the ground level shopfronts and internal alterations to the lift shaft and plant room
Section 96(1A) modification of consent to amend condition 108 (Use of Intrusive Appliances - Not Approved) to permit the use of appliances during the refurbishment stage between January to September 2016. (Note: First S96 modification to Consent to be Approved)
Section 96(2) modification of consent for additions and alterations to the former Crest Hotel for residential and retail uses and associated car parking. Proposed changes include increase gross floor area (18m2); increase from 131 to 134 apartments (change to mix and layout); increase from 59 to 67 car parking bays; external and internal alterations to accommodate roof services, additional north facing windows, reconfiguration of communal open space, waste, plant and storage requirements. Changes are also proposed to relevant conditions of consent.
Section 96(1A) modification of consent to amend Condition 103 (Sydney Trains Requirements) for additions and alterations to the former Crest Hotel including conversion to residential and retail uses
Three temporary signs for a sales office
Stage 2 development application (detailed design) for alterations and additions to the existing building known as the former Crest Hotel comprising conversion from hotel accommodation to 139 residential apartments and retention of existing ground floor retail uses, a new supermarket and specialty retail at Level 1 and 58 basement car parking spaces accessed from existing entry point on Victoria Street.